(Request)
It remains to return the whole of the rows underneath without altering anything.

(Excerpt)
┌──
Molecular formula: C85H188N11O12P
Method: DFT, ωB97M-V with the def2-TZVPD basis set

Values from the calculation:
F_max, eV Å⁻¹: 4.8
HOMO level (spin up / spin down), eV: -15.534 / -15.534
2S+1: 2
Orbital gap (spin up / spin down), eV: 6.44 / 2.33
Total charge: +5

CARTESIAN COORDINATES (ANGSTROEM)
C -8.749 4.245 -0.571
C -3.258 -7.050 -2.062
C -2.939 0.027 1.179
H 6.304 3.867 -6.732
H 3.709 3.256 1.455
H -1.169 -2.604 0.952
H -0.525 -6.620 -2.331
C 10.123 1.030 -0.228
C -0.717 -8.632 2.496
H -0.837 1.178 1.355
H 4.982 2.616 -2.441
C 8.707 2.225 -1.969
C -0.788 -6.014 3.229
H 3.416 4.652 0.389
N 1.762 1.103 7.150
H -1.624 -5.317 3.293
H -7.182 -7.188 -3.747
H -3.605 -0.777 1.491
N -4.352 -4.257 1.612
H -1.048 4.599 -2.294
C -3.811 -1.740 -3.648
H 0.692 2.525 6.093
C 6.086 5.464 -1.002
H -3.459 -0.600 -8.480
C -7.659 3.596 -1.383
C -1.755 0.946 9.090
N -2.115 2.465 4.174
H 0.424 -0.158 6.038
C 0.557 -3.803 4.575
C 5.765 2.256 -1.774
H 2.315 1.403 -5.316
H 5.249 7.140 0.179
H -3.131 -0.989 -4.050
C 7.009 2.672 -4.969
H 5.521 2.563 -0.757
H 3.231 0.156 8.433
H 9.074 2.898 0.021
O 5.139 -3.162 2.175
H 4.227 -5.728 5.137
C 0.581 1.062 -3.245
C -6.672 1.866 2.648
C -1.157 0.986 -7.695
H -1.135 -1.352 -1.519
H 8.167 4.318 -3.990
H -5.507 -6.765 -4.345
C -6.382 3.891 -0.693
H 1.990 0.269 -7.902
C 2.116 1.351 -7.954
H -5.755 5.644 1.136
H 0.679 -4.908 6.972
H -4.610 -10.058 1.545
H -1.096 6.828 0.716
H 11.304 0.187 1.272
H 6.356 0.490 -3.022
H -2.088 5.514 0.032
H 1.421 3.760 -5.984
H -5.699 -4.739 -3.117
C -2.653 1.335 -7.553
H 3.016 -0.115 4.550
C -1.505 -7.224 2.576
C -3.157 -2.025 -1.218
C 3.045 3.676 0.700
H -8.277 4.886 1.403
H 11.011 1.541 -0.601
H 0.488 -6.009 -0.256
H -1.877 6.065 -2.805
H 1.303 4.302 1.984
H -0.856 1.293 -4.955
H 4.566 -0.989 -2.427
H -3.198 7.163 -1.408
H -6.220 -6.167 -0.486
C -4.679 -8.304 -0.313
C -1.092 -5.946 -1.688
H 7.828 1.980 -4.772
C 0.753 0.019 0.440
C 7.310 4.644 -1.032
H -3.605 -11.371 0.969
P 7.208 3.278 -2.168
H -1.471 9.491 -1.018
H -4.320 -2.220 -4.483
N 0.983 -5.266 4.881
H -0.256 -3.083 6.422
C 5.884 0.699 -2.062
H 7.559 7.649 -1.703
H -7.067 1.573 0.615
H -5.353 0.273 3.231
H 1.463 0.423 1.162
O -3.017 3.116 -4.276
C -8.206 3.990 0.785
H 0.372 -8.611 2.549
H 1.260 2.684 1.334
C -1.583 8.512 -1.483
H 1.913 2.472 4.166
H -5.740 -8.491 -0.144
H 5.937 5.678 -2.060
N -4.681 -7.321 -1.514
H 6.454 1.315 -7.584
H 7.963 3.811 -6.558
O -1.225 1.650 4.113
C 3.484 1.933 -7.691
O -5.163 -3.593 0.922
H 3.406 2.080 4.843
C -4.361 -10.647 0.663
H -0.894 0.602 -8.680
H -0.169 5.914 -3.208
C -3.131 -2.700 -2.664
H 1.793 -0.998 6.680
H -0.758 1.314 -0.492
C 1.268 1.364 -5.616
H -2.409 -7.411 3.155
H 3.697 0.424 -2.395
C -3.529 0.054 -7.610
H 3.876 3.626 -6.406
H -4.549 -1.054 -3.232
H -1.286 -5.192 -2.449
H -3.371 -6.276 -2.821
H 0.025 2.695 -4.428
H 0.365 -4.486 -1.058
O -2.427 2.974 5.227
H -1.275 -1.479 2.270
C -0.237 -5.275 -0.608
H 1.389 0.234 3.977
H -4.201 -7.719 0.472
H -6.032 2.536 3.221
H 0.336 -7.251 4.726
H -8.870 5.328 -0.598
C 8.919 1.955 -0.503
H -0.747 -1.305 4.644
H -1.885 8.664 -2.519
C 3.381 -5.050 5.024
H 3.862 1.015 6.966
C -0.337 2.268 -7.489
C 1.750 2.337 6.277
H -0.944 -9.248 3.366
H -1.489 1.514 9.981
C 7.200 3.820 -3.914
H 9.625 0.166 1.735
H -3.465 0.691 0.492
O -3.603 3.803 -2.428
H -0.081 1.287 -2.409
H -2.126 -1.891 5.614
H 0.895 -2.076 0.156
H 0.425 -3.684 3.499
H 7.270 4.294 0.000
C 0.818 5.712 -0.530
C 10.389 0.780 1.260
C -1.013 -1.558 1.215
H 2.259 -6.657 3.923
H 0.333 8.253 -0.623
H -3.898 -10.042 -1.486
H 10.140 0.050 -0.704
C 2.345 1.858 4.957
H -5.229 -11.232 0.357
C -0.268 7.885 -1.455
H 1.220 4.054 -7.810
H 10.589 1.664 1.865
C -1.875 -0.522 9.609
C -5.554 -7.983 -2.600
H 2.337 -5.151 3.111
H -5.371 1.820 0.894
H -8.088 -0.661 1.983
H -2.605 0.379 2.155
H -1.017 -9.090 1.554
H -2.146 -1.304 8.899
O -3.807 1.768 -2.917
H 7.261 2.387 -8.587
H 4.245 1.853 -8.468
H -8.730 3.227 1.361
H 7.351 8.661 -0.180
H 3.315 -0.905 -0.410
C 1.695 3.493 -7.005
C 3.150 1.033 7.791
└──

(Done)
Molecular formula: C85H188N11O12P
Method: DFT, ωB97M-V with the def2-TZVPD basis set

Values from the calculation:
F_max, eV Å⁻¹: 4.8
HOMO level (spin up / spin down), eV: -15.534 / -15.534
2S+1: 2
Orbital gap (spin up / spin down), eV: 6.44 / 2.33
Total charge: +5

CARTESIAN COORDINATES (ANGSTROEM)
C -8.749 4.245 -0.571
C -3.258 -7.050 -2.062
C -2.939 0.027 1.179
H 6.304 3.867 -6.732
H 3.709 3.256 1.455
H -1.169 -2.604 0.952
H -0.525 -6.620 -2.331
C 10.123 1.030 -0.228
C -0.717 -8.632 2.496
H -0.837 1.178 1.355
H 4.982 2.616 -2.441
C 8.707 2.225 -1.969
C -0.788 -6.014 3.229
H 3.416 4.652 0.389
N 1.762 1.103 7.150
H -1.624 -5.317 3.293
H -7.182 -7.188 -3.747
H -3.605 -0.777 1.491
N -4.352 -4.257 1.612
H -1.048 4.599 -2.294
C -3.811 -1.740 -3.648
H 0.692 2.525 6.093
C 6.086 5.464 -1.002
H -3.459 -0.600 -8.480
C -7.659 3.596 -1.383
C -1.755 0.946 9.090
N -2.115 2.465 4.174
H 0.424 -0.158 6.038
C 0.557 -3.803 4.575
C 5.765 2.256 -1.774
H 2.315 1.403 -5.316
H 5.249 7.140 0.179
H -3.131 -0.989 -4.050
C 7.009 2.672 -4.969
H 5.521 2.563 -0.757
H 3.231 0.156 8.433
H 9.074 2.898 0.021
O 5.139 -3.162 2.175
H 4.227 -5.728 5.137
C 0.581 1.062 -3.245
C -6.672 1.866 2.648
C -1.157 0.986 -7.695
H -1.135 -1.352 -1.519
H 8.167 4.318 -3.990
H -5.507 -6.765 -4.345
C -6.382 3.891 -0.693
H 1.990 0.269 -7.902
C 2.116 1.351 -7.954
H -5.755 5.644 1.136
H 0.679 -4.908 6.972
H -4.610 -10.058 1.545
H -1.096 6.828 0.716
H 11.304 0.187 1.272
H 6.356 0.490 -3.022
H -2.088 5.514 0.032
H 1.421 3.760 -5.984
H -5.699 -4.739 -3.117
C -2.653 1.335 -7.553
H 3.016 -0.115 4.550
C -1.505 -7.224 2.576
C -3.157 -2.025 -1.218
C 3.045 3.676 0.700
H -8.277 4.886 1.403
H 11.011 1.541 -0.601
H 0.488 -6.009 -0.256
H -1.877 6.065 -2.805
H 1.303 4.302 1.984
H -0.856 1.293 -4.955
H 4.566 -0.989 -2.427
H -3.198 7.163 -1.408
H -6.220 -6.167 -0.486
C -4.679 -8.304 -0.313
C -1.092 -5.946 -1.688
H 7.828 1.980 -4.772
C 0.753 0.019 0.440
C 7.310 4.644 -1.032
H -3.605 -11.371 0.969
P 7.208 3.278 -2.168
H -1.471 9.491 -1.018
H -4.320 -2.220 -4.483
N 0.983 -5.266 4.881
H -0.256 -3.083 6.422
C 5.884 0.699 -2.062
H 7.559 7.649 -1.703
H -7.067 1.573 0.615
H -5.353 0.273 3.231
H 1.463 0.423 1.162
O -3.017 3.116 -4.276
C -8.206 3.990 0.785
H 0.372 -8.611 2.549
H 1.260 2.684 1.334
C -1.583 8.512 -1.483
H 1.913 2.472 4.166
H -5.740 -8.491 -0.144
H 5.937 5.678 -2.060
N -4.681 -7.321 -1.514
H 6.454 1.315 -7.584
H 7.963 3.811 -6.558
O -1.225 1.650 4.113
C 3.484 1.933 -7.691
O -5.163 -3.593 0.922
H 3.406 2.080 4.843
C -4.361 -10.647 0.663
H -0.894 0.602 -8.680
H -0.169 5.914 -3.208
C -3.131 -2.700 -2.664
H 1.793 -0.998 6.680
H -0.758 1.314 -0.492
C 1.268 1.364 -5.616
H -2.409 -7.411 3.155
H 3.697 0.424 -2.395
C -3.529 0.054 -7.610
H 3.876 3.626 -6.406
H -4.549 -1.054 -3.232
H -1.286 -5.192 -2.449
H -3.371 -6.276 -2.821
H 0.025 2.695 -4.428
H 0.365 -4.486 -1.058
O -2.427 2.974 5.227
H -1.275 -1.479 2.270
C -0.237 -5.275 -0.608
H 1.389 0.234 3.977
H -4.201 -7.719 0.472
H -6.032 2.536 3.221
H 0.336 -7.251 4.726
H -8.870 5.328 -0.598
C 8.919 1.955 -0.503
H -0.747 -1.305 4.644
H -1.885 8.664 -2.519
C 3.381 -5.050 5.024
H 3.862 1.015 6.966
C -0.337 2.268 -7.489
C 1.750 2.337 6.277
H -0.944 -9.248 3.366
H -1.489 1.514 9.981
C 7.200 3.820 -3.914
H 9.625 0.166 1.735
H -3.465 0.691 0.492
O -3.603 3.803 -2.428
H -0.081 1.287 -2.409
H -2.126 -1.891 5.614
H 0.895 -2.076 0.156
H 0.425 -3.684 3.499
H 7.270 4.294 0.000
C 0.818 5.712 -0.530
C 10.389 0.780 1.260
C -1.013 -1.558 1.215
H 2.259 -6.657 3.923
H 0.333 8.253 -0.623
H -3.898 -10.042 -1.486
H 10.140 0.050 -0.704
C 2.345 1.858 4.957
H -5.229 -11.232 0.357
C -0.268 7.885 -1.455
H 1.220 4.054 -7.810
H 10.589 1.664 1.865
C -1.875 -0.522 9.609
C -5.554 -7.983 -2.600
H 2.337 -5.151 3.111
H -5.371 1.820 0.894
H -8.088 -0.661 1.983
H -2.605 0.379 2.155
H -1.017 -9.090 1.554
H -2.146 -1.304 8.899
O -3.807 1.768 -2.917
H 7.261 2.387 -8.587
H 4.245 1.853 -8.468
H -8.730 3.227 1.361
H 7.351 8.661 -0.180
H 3.315 -0.905 -0.410
C 1.695 3.493 -7.005
C 3.150 1.033 7.791